Utilising innovative exploration methods, Brunswick Exploration has made significant progress in 2024, uncovering high-grade spodumene deposits vital for meeting projected lithium demand.
As governments at all levels worldwide announce lofty targets for decarbonising our society, global markets for metals and minerals deemed critical for the green energy transition have shifted significantly. Metals once overlooked now find themselves in high demand. Lithium is among these critical technological metals.
Over the past years, the demand for lithium has skyrocketed. The surge is fuelled by the demand for electric vehicles (EVs), whose lithium-ion batteries require considerable amounts of this critical metal. Here in North America, we have seen major investments in both new and existing EV battery plants, positioning lithium as a key part of the modern green economy.
These developments have been met with well-deserved enthusiasm and support. However, a glaring question needs to be answered: where will all this lithium come from?
As demand escalates and current lithium mines progress through their anticipated operational mine life, it becomes increasingly clear that we do not currently have sufficient known lithium resources to meet this demand. The World Economic Forum expects demand to reach over two million tons a year by 2030, and our deposits currently only produce ~130,000 tons per year. It is therefore crucial for us to find new deposits and to find them as quickly as possible.

Here the article breaks off for calculated molecules:
____________
{
  "formula": "C13H25Br3O6S3",
  "method": "the ωB97M-V functional and the def2-TZVPD basis",
  "e_tot_ev": -268802.947,
  "max_force_ev_per_a": 1.63,
  "relative_energy_kcal_mol": 0.0,
  "homo_lumo_gap_ev": 10.0,
  "lumo_ev": -0.35,
  "spin_multiplicity": 1,
  "species": ["C", "Br", "Br", "Br", "H", "C", "C", "C", "S", "O", "O", "C", "H", "H", "H", "H", "H", "H", "H", "H", "C", "C", "C", "S", "O", "O", "C", "H", "H", "H", "H", "H", "H", "H", "H", "C", "C", "C", "S", "O", "O", "C", "H", "H", "H", "H", "H", "H", "H", "H"],
  "xyz": [[-0.92731, -16.69529, -29.29589], [0.03217, -16.00584, -27.76529], [-1.49783, -18.53142, -28.94820], [0.18641, -16.60566, -30.90484], [-1.82476, -16.11411, -29.44254], [8.66820, -18.31369, -20.75808], [8.69693, -19.65767, -21.52340], [7.31016, -19.92265, -22.08073], [6.16536, -19.19707, -20.83015], [5.53242, -20.20839, -20.02336], [5.35010, -18.21315, -21.50178], [7.46192, -18.34933, -19.81308], [8.70155, -17.52298, -21.50740], [9.59360, -18.24055, -20.18566], [8.93742, -20.50012, -20.87234], [9.44929, -19.58260, -22.30622], [7.04496, -20.97183, -22.16700], [7.06382, -19.35403, -22.97534], [7.68185, -19.03095, -18.99597], [7.06487, -17.39833, -19.47498], [2.30680, -16.55606, -23.97172], [2.03800, -15.15262, -24.50699], [1.57316, -14.19027, -23.42039], [2.02006, -14.98733, -21.80947], [0.74557, -15.24587, -21.16827], [3.04946, -14.20154, -21.17298], [2.70090, -16.50099, -22.48847], [3.08762, -17.02798, -24.56236], [1.40590, -17.17134, -23.98937], [1.39504, -15.18324, -25.38880], [2.95124, -14.73642, -24.95047], [0.48736, -14.20338, -23.32336], [1.89116, -13.15397, -23.44756], [2.39667, -17.37525, -21.91615], [3.77851, -16.46975, -22.31764], [6.24848, -14.50313, -21.55999], [5.93685, -14.96412, -22.97138], [7.04486, -14.36952, -23.83609], [8.57094, -14.62285, -22.87713], [9.37500, -13.42597, -22.91179], [9.16394, -15.90469, -23.22008], [7.72239, -14.77772, -21.27352], [5.61889, -14.98869, -20.81391], [6.06534, -13.43236, -21.43922], [4.94922, -14.56088, -23.19821], [5.92514, -16.05188, -23.05632], [6.97336, -13.28204, -23.86612], [7.19051, -14.80877, -24.81901], [8.19784, -14.17424, -20.50479], [7.80199, -15.82014, -20.96069]],
____________
End of the calculated molecules:

The Brunswick Exploration approach
Brunswick Exploration (BRW) is based in Montréal and is Canada’s largest grassroots exploration company. It has the largest land package of staked claims across the country.
Our approach is to conduct large-scale grassroots exploration aggressively and systematically for hard rock lithium in Canada so that we can find as many deposits as quickly as possible and solidify Canada’s role in supplying the global markets with the resources needed to decarbonise effectively.
What drives us at Brunswick Exploration is not just our expansive exploration ambitions but notably our efficiency and effectiveness in this field. We are able to explore vast swaths of land over a relatively short period of time using state-of-the-art technologies, including portable XRF-LIBS multi-element geochemistry pegmatite discrimination criteria and satellite imagery. These allow us to assess an area in minutes and proceed to the next, covering more terrain in a shorter period than any other company in Canada.
The year 2024 was one filled with achievement for BRW as we continued multiple drilling and stripping programmes across Québec, all the while maintaining our trademark aggressive grassroots lithium prospecting in new regions of Canada and Greenland. We successfully completed our drilling exploration programme and identified the top formations that hold the best potential for lithium.
Our current flagship project, Mirage, was home to an expansive drilling programme throughout the year. A prospecting team was also sent during the summer of 2024 and revealed new opportunities for lithium-rich spodumene on the site using till and boulder mineralogy. Grassroots lithium prospecting expeditions in Greenland and Labrador perpetuated our trademark aggressive approach in regions of high potential.
The Mirage Project
Now a pillar of Brunswick Exploration’s portfolio, Mirage appeared as a site of major potential when, in the fall of 2023, BRW discovered several high-grade spodumene outcrops over a 2.5km trend and an adjacent 3km spodumene bolder train with different mineralogy than the discovered outcrops.

The property includes 427 claims with a total surface area of 21,230 hectares (staked and optioned claims), located 40km south of the Trans-Taiga Highway in Québec’s James Bay region.
In 2023, we completed a 5090m drilling campaign, and it has yielded significant high-grade lithium results, including bonanza grades of up to 2.57% Li2O over 25.8m (MR-1) and substantial thick intercepts, reaching up to 50.6 metres at 1.06% (MR-3), all above a 100m vertical depth. As a result of these promising findings, BRW launched an extensive winter drilling campaign on 22 January 2024 and drilled about 7,000m.
The summer of 2024 saw extensive prospecting works on the site, which led to discoveries of spodumene mineralisation in boulders and till in unexpected regions. This raises questions as to the presence of new sources of lithium. To further investigate our on-site resources, a 5,000m drill programme launched on 23 July 2024.
The exploration potential at Mirage extends well beyond the currently known targets. Over 12km of untested strike potential remains, including a new spodumene-bearing outcrop discovered 3km northeast of the main dyke swarm. To date, only 60% of the targets have been drill-tested, revealing new blind discoveries of dykes (MR-3A) in the drilling process. The total extent of the known lithium trend at Mirage now spans over 9km and remains open in all directions, highlighting its significant potential for further discoveries and developments.
Greenland projects
Having strong ties to Europe via Denmark and recently the focus of the European Union delegation, which highlighted its critical mineral potential, Greenland has outstanding outcrop exposure, allowing for efficient and effective helicopter-supported prospecting. Pegmatites were staked based on preferred geologic environments, historical geochemistry, satellite imagery and historical mapping.
Importantly, there has been little to no exploration of lithium in the country. At the same time, it has significant potential for new discoveries and holds all key geological grassroots indicators utilised by the BRW exploration team. The license areas are near communities and tidal water, and there is a deep-sea port in Nuuk, capital of Greenland. These license areas span a total of 64,703 hectares divided up into two projects: one close to Nuuk and another near Paamiut.
In July and August 2024, BRW started a two-week programme near Nuuk, followed by a one-week programme in Paamiut, targeting historical beryl and tourmaline-bearing S-type pegmatites, some having anomalous geochemistry typically associated with lithium-bearing pegmatites.
The Nuuk project has one proposed mineral exploration license, consisting of five blocks, with a total surface area of 49,562 hectares. It is located between 10-90km from the capital of Greenland, Nuuk. The project holds 92 mapped and interpreted pegmatites that are between 500-8,800km in strike length. The area contains beryl and tourmaline occurrences as well as a historic pegmatite grab sample containing up to 3,700 ppm Rb and a K/Rb ratio of 9.5, already indicating the potential for very evolved pegmatites.

Next to the page, the page also holds data records:
<<<
No. 1
Density functional theory data (ωB97M-V/def2-TZVPD) for a molecular structure, C4H7BrN2O.

Structure (ORCA input):
```
! RIJCOSX wB97M-V def2-TZVPD def2/J DEFGRID3
* xyz 0 1
C -1.5362 0.0826 -0.1430
C 0.5175 -1.0053 0.6189
C -0.7312 -1.1242 -0.3130
C 1.5611 1.1126 -0.0517
N -2.5865 0.5386 -0.5442
N 0.7527 0.3856 0.9135
O -0.4629 0.9605 1.1089
Br -0.2726 -1.3588 -2.2116
H 0.2547 -1.5047 1.5553
H 1.4042 -1.4779 0.1983
H -1.3170 -2.0064 -0.0543
H 1.3380 2.1714 0.0704
H 2.6108 0.9472 0.1911
H 1.3735 0.8308 -1.0942
H -2.9063 1.4482 -0.2444
*
```

For the LUMO energy, the calculation gives 0.3 eV. The calculation puts the HOMO-LUMO gap at 8.43 eV.

Results of the Löwdin charge analysis, in e, for atoms 1 through 5: C -0.2563; C -0.2023; C -0.6096; C -0.0676; N 0.1959



No. 2
Density functional theory data (ωB97M-V/def2-TZVPD) for a gas-phase ion, C4H7BrNS (charge +1).

Structure (ORCA input):
```
! RIJCOSX wB97M-V def2-TZVPD def2/J DEFGRID3
* xyz 1 1
C 0.9067 -1.6041 -0.1106
C 1.0522 -0.2571 -0.2245
C -1.8324 -1.2876 -0.4279
C 0.2568 1.9192 0.4272
N 0.0736 0.5560 -0.1228
S -0.7479 -2.3140 0.2857
Br 2.8700 0.3105 -0.0343
H 1.6320 -2.3826 -0.2920
H -1.6728 -0.7058 -1.2907
H -2.8455 -1.2314 -0.0175
H 1.0647 2.3573 -0.1443
H -0.5027 2.7135 0.4237
H 0.5347 1.7956 1.4904
H -0.7894 0.1306 0.0375
*
```

For the LUMO energy (alpha / beta), the calculation gives -6.4 / -6.4 eV. The calculation puts the HOMO-LUMO gap (alpha / beta) at 6.97 / 6.97 eV.

Results of the Löwdin charge analysis, in e, for atoms 1 through 5: C -0.3527; C -0.7795; C -0.2668; C -0.0469; N -0.0622



No. 3
Density functional theory data (ωB97M-V/def2-TZVPD) for a single C4H7BrO molecule.

Structure (ORCA input):
```
! RIJCOSX wB97M-V def2-TZVPD def2/J DEFGRID3
* xyz 0 1
C -1.7807 0.7040 -0.8964
C 0.6520 -0.1185 -1.0566
C 0.5188 0.0569 1.3189
C 0.7318 -0.8922 0.1846
O -0.4551 0.5852 -1.3346
Br 2.1404 0.7674 -1.8242
H -2.4537 1.2851 -1.4992
H -2.0147 -0.0087 -0.0199
H 0.4348 -0.5504 2.1872
H -0.5301 0.5582 1.0324
H 1.2841 0.7830 1.5162
H -0.1890 -1.6456 0.3540
H 1.6614 -1.5246 0.0377
*
```

For the LUMO energy (alpha / beta), the calculation gives 0.6 / 0.4 eV. The calculation puts the HOMO-LUMO gap (alpha / beta) at 8.52 / 7.79 eV.

Results of the Löwdin charge analysis, in e, for atoms 1 through 5: C 0.0222; C -0.7568; C -0.1207; C -0.3113; O -0.2290



No. 4
Density functional theory data (ωB97M-V/def2-TZVPD) for 2 unconnected molecules or ions with the total composition C4H7BrO.

Structure (ORCA input):
```
! RIJCOSX wB97M-V def2-TZVPD def2/J DEFGRID3
* xyz 0 1
C -1.2080 -1.6527 -0.0952
C -2.4446 -1.2472 -0.0024
C 1.5711 0.8338 0.6908
C 1.0513 0.5160 -0.6870
O 1.2735 1.4710 -1.6285
Br -2.7643 0.6506 0.0995
H -0.3607 -0.9400 -0.0658
H -0.7429 -2.6654 -0.0782
H 2.4460 0.2717 0.7213
H 1.6330 1.9016 0.8924
H 0.9977 0.3665 1.5205
H -3.3181 -1.8033 0.1188
H 1.8659 2.2973 -1.4864
*
```

For the LUMO energy, the calculation gives 0.6 eV. The calculation puts the HOMO-LUMO gap at 9.26 eV.
>>>
Back to the page:

The Paamiut project has one proposed mineral exploration license, containing five blocks, with a total surface area of 15,141 hectares, located between 20-70km from the community of Paamiut. The properties hold 41 mapped and interpreted pegmatites that are between 500-4,400m in strike length.
Southeast Labrador project
The company has staked 55 licenses with a total surface area of 7,051 hectares, located near and in between the areas of Cartwright, Port Hope Simpson and the intersection of Highway 510 and 516 in southeast Labrador. Labrador has an extraordinarily strong mining history and currently hosts large-scale mining operations in the Wabush, Voisey’s Bay and Schefferville areas. Numerous pegmatite occurrences contain beryl and/or tourmaline, among other indicator minerals, highlighting the potential for evolved LCT pegmatites and lithium mineralisation.

Records of molecules that have nothing to do with the article =
____________
# C3H4N2O

The molecule C3H4N2O in a non-equilibrium geometry (the ωB97M-V functional and the def2-TZVPD basis, OMol25).

Structure (XYZ):
```
10
Properties=species:S:1:pos:R:3:forces:R:3
O -1.0594 1.9572 -0.4994 1.196 0.559 -0.086
C -0.5536 0.7716 -0.1333 0.786 -0.341 0.079
C -0.9840 -0.5676 -0.0513 0.041 0.065 -0.035
C 0.1948 -1.2477 0.1828 0.026 -0.205 0.067
N 1.2044 -0.3541 0.1989 -0.046 -0.498 0.634
N 0.7461 0.8938 0.0804 0.244 -0.524 -0.131
H -0.0898 2.3001 -0.5333 -2.377 1.116 -0.355
H -1.9730 -0.9845 -0.1677 0.170 0.118 -0.018
H 0.3915 -2.2948 0.3367 -0.083 -0.060 -0.030
H 2.1231 -0.4740 0.5862 0.044 -0.229 -0.126
```
Positions in Å, forces in eV/Å.

Its energy relative to the best compared isomer or geometry (same formula, charge and spin) is 37.3 kcal/mol. As for the HOMO-LUMO gap: 9.87 eV. For the electronic energy, the calculation gives -301.4278 Ha. The structure (SMILES) is Oc1cc[nH]n1. The highest occupied orbital energy comes out at -8.886 eV.

These are the natural (NBO) partial charges, in e, on atoms 1 to 4: O -0.6571; C 0.4274; C -0.3935; C -0.0196

***

# C18H22FHgN3O4S

A structure of composition C18H22FHgN3O4S in a non-equilibrium geometry (the ωB97M-V functional and the def2-TZVPD basis, OMol25).

Structure (XYZ):
```
50
Properties=species:S:1:pos:R:3:forces:R:3
C -0.3814 3.8112 2.3508 0.502 1.143 0.352
O -1.3432 4.3733 1.3818 1.527 -2.457 -0.541
C -1.2577 3.6673 0.0735 -0.868 0.892 -0.325
C -2.7461 3.0176 -0.2043 0.166 -0.401 -0.469
C -2.9386 2.4668 -1.7596 -0.135 -0.646 -0.126
C -3.9516 1.1572 -1.7235 -0.030 0.167 0.235
C -3.1379 -0.2650 -1.6577 -0.215 -0.402 0.051
C -1.8651 -0.2514 -0.5741 -1.357 0.418 -0.149
C -1.2305 -1.7642 -0.6146 0.530 -0.667 -0.480
C 0.4065 -1.8292 -0.6798 2.392 -0.574 0.858
C 1.3510 -2.4796 0.5326 2.130 -0.167 -1.353
C 0.6871 -3.0815 1.9431 -0.066 0.836 -0.388
C 0.8726 -1.8442 3.0528 -0.095 1.022 -0.235
O 1.5875 -2.2658 4.2692 2.688 1.617 -2.153
C 3.0146 -1.8563 4.2325 4.296 -4.281 5.154
O 3.9095 -2.5016 5.0157 -6.590 4.417 -5.533
C 3.0109 -2.5510 0.3811 -1.868 -0.386 1.092
F 3.8814 -3.1490 1.4605 -3.790 2.464 -4.456
C 3.7724 -1.9942 -0.9607 2.225 -0.369 0.246
N 5.2765 -2.0880 -1.1322 -7.816 1.253 -1.179
S 5.4526 -1.3403 -2.7358 -5.058 0.559 0.696
N 3.7921 -0.9031 -3.2059 0.412 -1.813 3.771
C 2.8261 -1.3230 -2.1197 1.291 -0.894 0.763
C 1.1933 -1.2336 -1.9917 3.088 0.036 -0.284
N 0.4565 -0.5664 -3.1629 2.803 5.530 4.001
C 0.7352 0.7908 -2.9646 1.132 4.692 1.620
O 0.9995 2.0961 -2.6934 -2.515 -11.859 -2.678
H -0.4992 2.6528 2.5276 0.073 2.185 -0.431
H 0.6976 4.0646 1.9340 -1.973 -0.730 1.000
H -0.5408 4.4138 3.3630 0.307 -1.481 -2.256
H -0.3834 2.8733 0.0417 -1.829 1.405 0.231
H -1.0109 4.4876 -0.7335 -0.529 -1.592 1.486
H -3.6373 3.7643 0.0090 2.181 -1.332 -0.297
H -2.8650 2.1212 0.5480 0.152 1.745 -1.465
H -3.3673 3.3069 -2.4864 1.002 -1.817 1.767
H -1.9204 2.0692 -2.2317 -1.953 1.093 0.993
H -4.5905 1.2396 -0.7391 1.132 -0.195 -1.974
H -4.7152 1.1543 -2.6368 1.807 -0.092 1.941
____________

To date, the licenses cover 19 pegmatites measuring between roughly 500-2,000m in strike length. A ten-day helicopter-supported prospecting and mapping programme was launched in the summer of 2024. Its main objective was to assess multiple evolved S-type pegmatites containing beryl and tourmaline that had not been explored in any previous way. Results are pending.
What’s next?
As we move into 2025, our focus will intensify on advancing the drilling of our James Bay projects while continuing our aggressive approach to the exploration of hard rock lithium in Labrador and Greenland at an unparalleled rate.
The success of Western economies in their efforts to meet their decarbonisation goals depends critically on our ability to boost the lithium supply, particularly here in North America. The currently known lithium resources are insufficient to meet the demand for lithium, and Brunswick Exploration is committed to changing that.
With our innovative approach to exploration, it is no wonder that BRW is invited to conferences all over the world to share our story and has been named to the TSX Venture 50 for a second time in 2024 as one of the Exchange’s top-performing companies.
For more information about Brunswick Exploration, follow us on Instagram, X, LinkedIn and Facebook, and visit us at www.brwexplo.ca to sign up for our mailing list and receive all our latest news and developments.